-- Wanted --
Next, transcribe every line further below that contains the word "Ir".

-- Given --
=====
[1]
Molecular formula: C13H26I2IrNOP2
Method: DFT, ωB97M-V/def2-TZVPD

Its charge is +3. The orbital gap (spin up / spin down) comes out at 7.69 / 4.16 eV. As for the spin multiplicity: 6.

```
46
Properties=species:S:1:pos:R:3:forces:R:3
Ir 0.056 -0.833 0.039 0.193 -1.135 0.080
I -1.847 5.169 -0.898 -1.534 0.080 -0.681
I 0.624 5.474 0.192 1.458 0.424 0.639
P 0.929 -0.264 -2.063 0.813 -0.579 -1.821
P -0.893 -0.203 2.088 -0.727 -0.519 1.839
O -0.194 2.165 -0.115 0.388 -4.068 0.224
N 0.228 -3.066 0.149 -0.211 2.312 -0.068
C -2.605 -0.855 2.090 0.062 -0.196 0.386
C -0.149 -3.882 1.201 0.433 -1.120 -0.757
C 0.123 -5.240 0.891 0.363 0.002 -0.827
C -0.741 -3.591 2.490 -0.428 0.802 0.800
C -0.235 -0.931 -3.311 0.331 -0.204 -0.214
C 0.676 -5.256 -0.375 -0.295 -0.339 0.751
C 0.735 -3.914 -0.820 -0.240 -0.948 0.807
C 2.719 -0.650 -2.011 -0.030 -0.232 -0.348
C 1.283 -3.660 -2.135 0.302 0.726 -0.850
C -1.260 1.534 2.543 0.346 0.140 -0.806
C 0.355 -0.568 3.378 -0.304 -0.226 0.234
C -0.095 0.994 -0.055 -0.558 5.502 -0.294
C 1.036 1.458 -2.681 -0.354 0.165 0.794
H 3.168 -0.865 -2.986 -0.124 0.043 0.098
H -0.092 -3.985 3.289 -0.115 0.176 -0.183
H -3.019 -1.046 3.086 0.106 0.051 -0.099
H 0.215 -1.149 -4.285 0.000 0.053 0.148
H -0.988 -0.150 -3.449 0.063 -0.070 0.003
H 1.477 1.456 -3.685 -0.080 -0.121 0.211
H -0.732 -1.813 -2.916 -0.002 -0.061 -0.148
H 1.024 -6.090 -0.977 -0.136 0.081 0.283
H 1.663 2.040 -1.994 -0.096 0.013 -0.368
H -1.961 1.953 1.810 0.091 0.049 0.364
H 0.977 -1.401 3.063 0.006 -0.043 0.151
H -0.060 -0.755 4.373 -0.001 0.039 -0.152
H -1.701 1.561 3.545 0.098 -0.126 -0.192
H -0.913 -2.528 2.648 -0.037 -0.474 0.189
H 0.706 -4.222 -2.887 0.082 0.203 0.151
H 2.899 -1.469 -1.321 0.116 -0.047 -0.097
H -0.324 2.107 2.527 -0.333 0.022 0.176
H -0.093 -6.051 1.574 0.091 -0.058 -0.195
H 2.304 -4.070 -2.191 -0.199 0.177 0.028
H -1.690 -4.141 2.592 0.179 0.201 -0.055
H 0.026 1.888 -2.713 0.333 0.040 -0.179
H -2.659 -1.751 1.478 -0.108 -0.055 0.103
H -3.210 -0.079 1.611 0.043 -0.068 0.048
H 1.297 -2.605 -2.395 0.101 -0.454 -0.140
H 3.195 0.248 -1.606 -0.033 -0.083 -0.043
H 0.984 0.325 3.430 -0.054 -0.079 0.007
```
Positions in Å, forces in eV/Å.

Results of the Löwdin charge analysis, in e, for atoms 1 through 8:
1. Ir 0.980
2. I 0.540
3. I 0.542
4. P 0.699
5. P 0.698
6. O -0.015
7. N -0.039
8. C -0.229

=====

[2]
Molecular formula: H12O6
Method: DFT, ωB97M-V/def2-TZVPD

The orbital gap comes out at 10.75 eV. The structure (SMILES) is O.O.O.O.O.O. As for the spin multiplicity: 1.

```
18
Properties=species:S:1:pos:R:3:forces:R:3
O -0.082 -3.426 2.078 0.245 0.048 0.177
O 0.216 -0.736 -0.621 -0.295 -0.300 -0.625
O -1.516 2.129 -2.235 0.059 -0.232 -0.133
O 1.635 2.060 1.504 0.057 0.339 -0.226
O 0.569 -0.713 2.118 0.191 0.633 0.104
O 0.416 0.376 -3.940 0.316 -0.135 -0.145
H 0.305 -0.898 0.318 0.401 0.119 0.404
H 1.009 2.532 2.053 -0.082 0.138 0.154
H 1.718 1.201 1.920 -0.066 -0.453 0.030
H -0.872 2.826 -2.107 0.258 0.249 0.014
H -0.503 -3.816 2.844 -0.078 -0.248 0.235
H -0.313 0.059 -0.679 -0.028 0.270 -0.156
H -0.108 0.801 -3.261 -0.278 0.055 0.289
H 0.030 0.677 -4.763 -0.098 0.055 -0.185
H -2.100 2.201 -1.479 -0.216 -0.026 0.153
H 0.772 -1.593 2.438 0.055 -0.625 0.081
H -0.375 -0.624 2.243 -0.241 0.109 0.222
H -0.803 -3.056 1.570 -0.199 0.004 -0.392
```
Positions in Å, forces in eV/Å.

Results of the Löwdin charge analysis, in e, for atoms 1 through 8:
1. O -0.034
2. O -0.051
3. O -0.037
4. O -0.055
5. O -0.046
6. O -0.053
7. H -0.036
8. H 0.024

=====

[3]
Molecular formula: C2H2N2S
Method: DFT, ωB97M-V/def2-TZVPD

The orbital gap comes out at 9.44 eV. The structure (SMILES) is N#C/C=N\S. As for the spin multiplicity: 1.

```
7
Properties=species:S:1:pos:R:3:forces:R:3
S 1.018 0.547 1.282 0.075 0.200 -0.005
N -0.600 1.743 -1.735 -0.547 -1.351 1.118
N 0.267 -0.793 0.619 -1.421 0.888 -2.178
C -0.471 -0.571 -0.418 -0.568 0.160 0.209
C -0.712 0.776 -1.095 1.345 -0.550 -0.180
H 1.521 -0.266 2.171 0.756 -0.015 1.007
=====

-- Worked solution --
Ir 0.056 -0.833 0.039 0.193 -1.135 0.080
1. Ir 0.980